Have you ever wanted to know the right way to use chopsticks? There’s a lot to learn because Western cultures have no experience with the uniquely Asian food utensils. Fortunately, there are a few simple rules that can make the mysterious world of chopstick etiquette as clear as a bell.
Most of the rules for using chopsticks have the same goal as etiquette for forks, knives, and spoons: never expose other people to a utensil that goes into your mouth. Westerners would never use a personal fork or knife to cut or stab food in a common-use dish. It’s just plain unsanitary.
One Basic Rule
The same principle applies to chopsticks and is behind the majority of rules for their use. On top of those basic guidelines, there are a few uniquely Japanese table manners that pertain to chopsticks. For those, you just have to memorize the rule and practice until it becomes second nature.
Note that one of the rules is about learning to use chopsticks properly. This takes a bit of practice, but even rank etiquette amateurs can master the technique within about an hour’s practice. So maybe the first rule should be “Learn to use chopsticks correctly.”
The List
The comprehensive list below takes into account all the basic rules and will cover you in any eating situation while visiting Japan. At the end of the list are a few caveats and special situation guidelines. In all, you’ll be on the right course to chopstick mastery.
Never Stand the Sticks Up Vertically
The vertical chopstick is symbolic of death to the Japanese. At funerals, the utensils are sometimes left in that position in a single bowl of rice that is meant for the deceased person. It’s an ancient and solemn tradition, so when visitors do this, even playfully and not knowing what it means, Japanese people are a tad shocked and insulted. Just remember this as the number-one chopsticks’ taboo.
Gesturing with Chopsticks is a No-No
Even in Western culture, at least until the mid-1950s or so, it was considered terrible form to gesture or “talk with your hands” while holding a utensil of any kind. The same rule applies in Japan except it is still in effect and is widely regarded as impolite. If you want to speak during a meal, set the chopsticks on their holder first. If there is no holder, it’s okay to place the sticks across the plate without crossing them.
Avoid “Rinsing” Chopsticks in Soup or Tea
Gooey chopsticks that have been used for rice or meat sometimes have a built-up residue on them. It’s tempting to “stir” your soup to clean the chopsticks. Don’t do it. While not technically an unsanitary move, rinsing is considered rude and will draw stares from your dining companions.
Use the “Table” Chopsticks to Take Food from Shared Dishes
Traditional Japanese meals are served “family-style,” even in many restaurants. This is quite unlike the meal ritual in Western cultures. Each common dish, in the center of the table, includes a pair of chopsticks that are to be used for that dish only. You use those chopsticks, not your personal ones, to deliver food from the shared dishes to your own plate.
It’s much the same principle as a gravy spoon in the West. It’s assumed that diners use the common-use spoon to place gravy on their own plates. They’d never use a personal spoon (for sanitary reasons if nothing else) to dip sauce out of the bowl and add it to their plate.
Thou Shalt Not “Hover”
When several different foods are on the main table and being passed around, it’s impolite to “hover” that particular food’s common chopsticks over the bowl/dish as if you’re “shopping around” for a piece of a certain size or shape. The Japanese sum up this rule by telling children, “No lingering!”
The idea is that food is a precious, wonderful thing to have access to. Japanese history is one of cyclical drought, famines and crop failures. This respect for food is part of the cultural DNA in Japan, so any behavior that makes one appear to be a “picky” eater is frowned upon. Be like the Japanese by being grateful to have food on the table, prepared and ready to eat. Don’t hover the common chopsticks as if to hunt for the “best piece” from a specific serving bowl or tray.
Chopsticks are Not Forks or Knives: No “Stabbing”
Never (ever) use the point of a chopstick to snare foot items from your plate or from a common serving tray. It’s just never done, and children are told “No sticking!” by millions of parents who try to teach good table manners into their youngsters.
This is a sometimes tricky rule for Westerners because many chopsticks are pointed and would make good single-tine “forks” if the need arose. For visitors who don’t know how to use chopsticks to lift food, it’s tempting to just jab that point into a piece of meat, fish or fruit and bring it to the mouth for convenient and quick eating.
Be on your best behavior and avoid the temptation. Ask for a fork and knife or, if that fails, use your fingers to lift a food item you can’t catch with the chopsticks. Using fingers is considered much less rude than stabbing food with a lone chopstick.
Don’t Place Chopsticks across a Plate or Bowl
This rule has a couple of exceptions, primarily when there is not chopstick “stand” for each diner. Small stands are called “rests,” and usually are placed right next to each person’s main plate. You put the chopsticks together, without crossing them, handle ends on the table, “food ends” elevated on the stand. The stand looks like a little log or bar.
If there is no stand, place the chopsticks, horizontal, never crossed, across the side of your plate while speaking or taking a break from eating. Put them on the side of the plate because putting them at the top is considered a signal that you are finished with your meal.
Don’t ever put chopsticks on or in a soup bowl. If your main meal dish is a bowl, the rule still applies. Remember, the only exception is when there is no chopstick stand and no packet (that comes with disposable chopsticks). Only in those cases is it acceptable to use the side of your bowl or plate when you want to “rest” the chopsticks.
For more details about the chopstick rest, see the rule below, “When not in use, place chopsticks on the rest.”
Never Pull or Push a Bowl with the Sticks
In Western countries, people use knives, forks, and spoons to move food around on a plate or inside a bowl. The opposite is the case with Japanese chopsticks. Avoid pushing, pulling or otherwise moving food around on a plate with the chopsticks. Japanese view this as “playing” with food, and it’s considered rude. Food stays put until you lift it up with the chopsticks and eat it.
Never Take or Give Food with Your Chopsticks
This is such a common etiquette problem that even Japanese people are caught doing it on occasion. When passing food platters or bowls around a table, or when serving others from them while the bowls sit on the table, be sure to use the common-use chopsticks (the ones that are in or near the serving dish) to dole out food if you serve to others. Note: As a visitor, you’ll not be doing much serving, so visitors can rest easy.
But the rule is in place to prevent germs from being spread via personal chopsticks. This is one of the etiquette guidelines that have a clear and practical purpose. By understanding this rule, even visitors who never have to worry about it can gain a better understanding of Japanese table etiquette.
In most Asian cultures, greater attention is paid to cleanliness and hygiene than in Western culinary environments. Anthropologists pose many theories for this phenomenon, one being that some parts of Asia are more susceptible to food-transmitted contamination than Western cultures are; careful attention toward preventable germ-spreading makes sense.
No “Playing with Food” Allowed
Here, the rule is similar to the one for Western utensils: don’t play with food in any way. Respect the food and the person who prepared it by treating it with respect. Using chopsticks to toss food items around on a plate or otherwise play with it is one of the biggest mistakes a person can make at a Japanese table, even when the occasion is quite informal.
Food “Sorting” is Verboten
Some visitors to Japan come from places where it’s perfectly normal and accepted to sort through food on one’s plate. In the U.S., for example, no one is offended when guests at a dinner table use their forks, knives or spoons to move potatoes to one side of a plate and vegetables or meat to another side.
In Japan, this just isn’t done. You put the food where you want it (on your plate) when you pick it up from the common dish and transfer it to your own plate. It’s not moved after that until you pick it up with chopsticks and eat it. Food isn’t meant to be touched except when it travels from the common dish to your dish, and then into your mouth. That’s it! No organizing, sorting, or categorizing is allowed by the rules of chopsticks (and Japanese dining) etiquette.
Never Point with Chopsticks
This is closely related to the “No gesturing with chopsticks” rule. It’s always considered highly rude to point with chopsticks, even when not at a meal. The utensils are meant for eating and eating only, not for use as “pointers.”
____________
Material: Ba24In19N11
Method: DFT, PBE-GGA
State: relaxed

Geometry as CIF:
```
data_Ba24In19N11
_space_group_name_H-M_alt 'P 1'
_space_group_IT_number 1
_cell_length_a 10.828
_cell_length_b 10.828
_cell_length_c 18.597
_cell_angle_alpha 106.53
_cell_angle_beta 106.53
_cell_angle_gamma 59.00
loop_
_space_group_symop_operation_xyz
'x,y,z'
loop_
_atom_site_label
_atom_site_fract_x
_atom_site_fract_y
_atom_site_fract_z
_atom_site_occupancy
Ba1 0.000 0.000 0.000 1
Ba2 0.054 0.054 0.447 1
Ba3 0.055 0.696 0.449 1
Ba4 0.176 0.176 0.818 1
Ba5 0.176 0.559 0.936 1
Ba6 0.179 0.824 0.820 1
Ba7 0.232 0.874 0.625 1
Ba8 0.320 0.683 0.322 1
Ba9 0.359 0.999 0.999 1
Ba10 0.363 0.754 0.132 1
Ba11 0.370 0.370 0.131 1
Ba12 0.501 0.857 0.501 1
Ba13 0.502 0.502 0.502 1
Ba14 0.556 0.556 0.936 1
Ba15 0.559 0.176 0.936 1
Ba16 0.680 0.680 0.322 1
Ba17 0.683 0.320 0.322 1
Ba18 0.696 0.055 0.449 1
Ba19 0.754 0.363 0.132 1
Ba20 0.824 0.179 0.820 1
Ba21 0.857 0.501 0.501 1
Ba22 0.874 0.232 0.625 1
Ba23 0.876 0.876 0.625 1
Ba24 0.999 0.359 0.999 1
In1 0.017 0.727 0.124 1
In2 0.028 0.522 0.222 1
In3 0.041 0.320 0.321 1
In4 0.177 0.177 0.170 1
In5 0.230 0.518 0.626 1
In6 0.231 0.231 0.625 1
In7 0.320 0.041 0.321 1
In8 0.328 0.328 0.325 1
In9 0.373 0.373 0.767 1
In10 0.518 0.230 0.626 1
In11 0.522 0.028 0.222 1
In12 0.529 0.825 0.824 1
In13 0.682 0.682 0.687 1
In14 0.721 0.721 0.121 1
In15 0.727 0.017 0.124 1
In16 0.773 0.773 0.968 1
In17 0.825 0.529 0.824 1
In18 0.825 0.825 0.822 1
In19 0.873 0.873 0.269 1
N1 0.028 0.028 0.725 1
N2 0.090 0.090 0.914 1
N3 0.279 0.778 0.472 1
N4 0.296 0.741 0.982 1
N5 0.299 0.299 0.980 1
N6 0.520 0.520 0.201 1
N7 0.588 0.588 0.410 1
N8 0.741 0.296 0.982 1
N9 0.777 0.777 0.472 1
N10 0.778 0.279 0.472 1
N11 0.967 0.967 0.536 1
```

Results
For the total energy, the calculation gives -207.5 eV per cell. Its total magnetic moment is 0.6 μB per cell. The calculation puts the formation energy from the elements at -21.47 eV per formula unit.

~~~~~

# PBE with a Hubbard U La6WO12, optimized geometry
data_La6WO12
_chemical_formula_sum 'La18 W3 O36'
_cell_length_a 10.3923
_cell_length_b 10.3923
_cell_length_c 9.9947
_cell_angle_alpha 90.00
_cell_angle_beta 90.00
_cell_angle_gamma 120.00
_symmetry_space_group_name_H-M 'R -3'
_symmetry_Int_Tables_number 148
_symmetry_space_group_name_Hall '-R 3'
loop_
_atom_site_label
_atom_site_type_symbol
_atom_site_fract_x
_atom_site_fract_y
_atom_site_fract_z
_atom_site_occupancy
La1 La 0.0463 0.7912 0.1482 1
W1 W 0.0000 0.0000 0.5000 1
O1 O 0.0359 0.8093 0.9034 1
O2 O 0.0388 0.8621 0.3925 1
# calculated total energy	-8.32	eV/atom
# energy of formation	-3623	meV/atom

# PBE with a Hubbard U Li3V4P9O32, optimized geometry
data_Li3V4P9O32
_chemical_formula_sum 'Li6 V8 P18 O64'
_cell_length_a 13.7777
_cell_length_b 13.7777
_cell_length_c 6.3455
_cell_angle_alpha 90.00
_cell_angle_beta 90.00
_cell_angle_gamma 90.00
_symmetry_space_group_name_H-M 'P -4 21 c'
_symmetry_Int_Tables_number 114
loop_
_symmetry_equiv_pos_as_xyz
____________
No “Drums, Tapping or Playing” with Chopsticks
Here’s another etiquette guideline related to several others. Chopsticks should never be tapped, even lightly, on the table, dish, glass, your body, or anything. They shouldn’t be spun around or used for clever tricks, sleight of hand, or amusement.
This rule is one that Westerners tend to break quite often. Perhaps out of nervousness at not being able to use the chopsticks correctly or for some other reason, visitors to Japan tend to use chopsticks for “drum playing,” tapping, and all sorts of gyrations while waiting for a meal to be served or, even worse, in between bites of food.
Don’t be a rude visitor. When in Japan, do as the Japanese do and wait patiently for food to be served. Don’t play with the food or the chopsticks.
Remember: “Hands Only”
## Someone pasted records of crystals at this point
- - -
# Ho2MoO6, relaxed, DFT r²SCAN
# Crystal system ... monoclinic
# Theoretical density ... 7.69 g/cm³
# DFT formation energy ... -3260.4 meV/atom
data_Ho2MoO6
_cell_length_a 16.295
_cell_length_b 10.966
_cell_length_c 5.316
_cell_angle_alpha 90.00
_cell_angle_beta 108.41
_cell_angle_gamma 90.00
_space_group_name_H-M_alt 'C 1 2/c 1'
_space_group_IT_number 15
_space_group_name_Hall '-C 2yc'
loop_
_atom_site_label
_atom_site_fract_x
_atom_site_fract_y
_atom_site_fract_z
Ho1 0.000 0.107 0.250
Ho2 0.000 0.363 0.750
Ho3 0.167 0.116 0.878
Mo1 0.155 0.360 0.438
O1 0.072 0.235 0.583
O2 0.080 0.469 0.485
O3 0.092 0.019 0.080
O4 0.106 0.280 0.130
O5 0.228 0.296 0.741
O6 0.236 0.449 0.361

~~~~~

A plane-wave DFT calculation with r2SCAN was carried out for an optimized crystal structure of Sc2SnAu2.

Structure (CIF):
```
data_Sc2SnAu2
_chemical_formula_sum 'Sc4 Sn2 Au4'
_symmetry_space_group_name_H-M 'P 1'
_symmetry_Int_Tables_number 1
_symmetry_space_group_name_Hall 'P 1'
_cell_length_a 7.5867
_cell_length_b 7.5867
_cell_length_c 3.5494
_cell_angle_alpha 90.00
_cell_angle_beta 90.00
_cell_angle_gamma 90.00
loop_
_atom_site_label
_atom_site_type_symbol
_atom_site_fract_x
_atom_site_fract_y
_atom_site_fract_z
Au1 Au 0.6300 0.8700 0.5000
Sn1 Sn 0.5000 0.5000 0.5000
Sc1 Sc 0.8328 0.6672 0.0000
Sc2 Sc 0.3328 0.8328 0.0000
Au2 Au 0.3700 0.1300 0.5000
Sc3 Sc 0.1672 0.3328 0.0000
Sn2 Sn 0.0000 0.0000 0.5000
Au3 Au 0.1300 0.6300 0.5000
Sc4 Sc 0.6672 0.1672 0.0000
Au4 Au 0.8700 0.3700 0.5000
```

ΔE_f, meV/atom: -806
- - -
This rule, among the Japanese anyway, is in place, particularly for children. The Japanese say “Hands-only,” to youngsters to remind them not to hold the chopsticks in their mouths, dangling in the air. Most adults, even visitors who don’t know chopstick etiquette, would never do this but it bears mentioning.
Don’t Place Your Chopsticks on the Table
This rule means, “Don’t put chopsticks directly onto a table’s surface.” In restaurants there will usually be either a little stand you can rest the sticks on, or there will be a packet that the chopsticks came in.
When you need to set the chopsticks down, place them on the stand, or put them on top of the packet. When the meal is over, you should put them in the packet when there is one available. If there’s no packet, it’s okay to leave them on the stand. If there’s no stand or packet, then leave the sticks, uncrossed, across the front of your plate.
Never put chopsticks onto a bare table or a tablecloth. It’s just not done. This is one of the rules that visitors tend to break on a regular basis.
Noise is Not Good
Never make any kind of noise with your chopsticks. This includes clicking them together, tapping them against anything, including your hands or arms. The way the Japanese teach this rule to their children is “No noise.”
<<<
A relaxed structure of CsPb2Cl5, computed with GGA-PBE. Values from VASP.

* space-group type: I4/mcm
* energy of formation from the pure elements: -1768 meV per atom
* total energy: -3.580 eV per atom
* crystal system: tetragonal
* energy above the lowest structure with this stoichiometry: 0 meV/atom

Structure (Quantum ESPRESSO input):
```
&SYSTEM
  ibrav = 0, nat = 16, ntyp = 3
/
ATOMIC_SPECIES
Cs 132.91 Cs.upf
Pb 207.20 Pb.upf
Cl 35.45 Cl.upf
ATOMIC_POSITIONS crystal
Cs 0.250 0.250 0.000
Cs 0.750 0.750 0.000
Pb 0.830 0.330 0.161
Pb 0.670 0.830 0.500
Pb 0.330 0.170 0.500
Pb 0.170 0.670 0.839
Cl 0.000 0.000 0.000
Cl 0.500 0.500 0.000
Cl 0.968 0.776 0.500
Cl 0.776 0.276 0.809
Cl 0.468 0.968 0.191
Cl 0.276 0.468 0.500
Cl 0.724 0.532 0.500
Cl 0.532 0.032 0.809
Cl 0.224 0.724 0.191
Cl 0.032 0.224 0.500
CELL_PARAMETERS angstrom
4.296 -6.636 5.523
7.860 4.329 3.532
-9.166 2.995 0.088
```


A relaxed structure of Rb2PdI2Br4, computed with GGA-PBE. Values from VASP.

* space-group type: I4/mmm
* energy of formation from the pure elements: -1152 meV per atom
* total energy: -2.774 eV per atom
* crystal system: tetragonal

Structure (Quantum ESPRESSO input):
```
&SYSTEM
  ibrav = 0, nat = 9, ntyp = 4
/
ATOMIC_SPECIES
Rb 85.47 Rb.upf
Pd 106.42 Pd.upf
I 126.90 I.upf
Br 79.90 Br.upf
ATOMIC_POSITIONS crystal
Rb 0.250 0.750 0.500
Rb 0.750 0.250 0.500
Pd 0.000 0.000 0.000
I 0.340 0.340 0.000
I 0.660 0.660 0.000
Br 0.794 0.206 0.000
Br 0.794 0.794 0.589
Br 0.206 0.794 0.000
Br 0.206 0.206 0.411
CELL_PARAMETERS angstrom
3.389 -6.176 2.663
-1.384 4.405 5.950
-6.378 -1.759 -3.600
```


A relaxed structure of Li2CoN2, computed with GGA-PBE. Values from VASP.

* space-group type: P-3m1
* energy of formation from the pure elements: -225 meV per atom
* total energy: -5.601 eV per atom
* crystal system: trigonal

Structure (Quantum ESPRESSO input):
```
&SYSTEM
  ibrav = 0, nat = 5, ntyp = 3
/
ATOMIC_SPECIES
Li 6.94 Li.upf
Co 58.93 Co.upf
N 14.01 N.upf
ATOMIC_POSITIONS crystal
Li 0.667 0.333 0.348
Li 0.333 0.667 0.652
Co 0.000 0.000 0.000
N 0.667 0.333 0.806
N 0.333 0.667 0.194
CELL_PARAMETERS angstrom
3.021 0.000 0.000
-1.511 2.616 0.000
0.000 0.000 5.145
```


A relaxed structure of TiRu3, computed with GGA-PBE. Values from VASP.

* space-group type: Pm-3m
* energy of formation from the pure elements: -208 meV per atom
* total energy: -9.138 eV per atom
* crystal system: cubic

Structure (Quantum ESPRESSO input):
```
&SYSTEM
  ibrav = 0, nat = 4, ntyp = 2
/
ATOMIC_SPECIES
Ti 47.87 Ti.upf
Ru 101.07 Ru.upf
ATOMIC_POSITIONS crystal
Ti 0.000 0.000 0.000
Ru 0.500 0.500 0.000
Ru 0.500 0.000 0.500
Ru 0.000 0.500 0.500
CELL_PARAMETERS angstrom
3.860 0.000 0.000
0.000 3.860 0.000
0.000 0.000 3.860
```


A relaxed structure of Li3Sn3Pt2, computed with GGA-PBE. Values from VASP.

* space-group type: Ia-3
* energy of formation from the pure elements: -559 meV per atom
* total energy: -4.296 eV per atom
* crystal system: cubic

Structure (Quantum ESPRESSO input):
```
&SYSTEM
>>>
Warning: No “Digging” Allowed
It’s never okay to dig through mounds of food, even when there is a large pile of rice, beans or another type of food. When offered a common serving dish, use that dish’s chopsticks to pick food up from the top of the pile. Never dig around, mix or stir the contents of a common dish with chopsticks.
Learn How to Hold and Use Chopsticks Correctly
There are hundreds of tutorials online for people who want to learn to use chopsticks properly. An excellent one is here.
It helps to get help from someone in person because the correct positioning of the sticks in one’s hand takes time and varies from person to person depending on the size, shape, and agility of the hand.
When Not in Use, Place Chopsticks on the Rest
When you eat in informal settings that use disposable chopsticks, remove them from their little package, roll the package up and use it as a stand for resting the sticks during the meal (between bites and when talking). At the end of the meal, place the disposable sticks back into the package after you’ve unrolled it. Then, leave the package where you found it.
If you choose not to roll up the package and use it as a stand, then just leave it next to your plate and place the chopsticks on it when you’re not using them. At the end of the meal, return them to the packet.
With non-disposable chopsticks, there will usually be a stand for them. If there isn’t, it’s okay to place them lengthwise on the side of the plate when you speak or are taking a break from eating. At the end of the meal, put them on the stand if there is one, or lengthwise across the top of the plate if there is no stand.
Licking? Don’t Even Think about It
It seems hard to believe, but some visitors to Japan lick food or liquids off their chopsticks. This is, of course, highly rude and should never be done. Along with not placing the chopsticks vertically in a food dish, this is one of the “never ever do it” etiquette rules for dining in Japan.
Putting it All Together
It’s almost enough just to read and understand the logic behind the rules. After that, everything is a matter of practicing with the chopsticks. It can’t be emphasized enough: learn to use chopsticks by spending time on your own (or with a helper). The one-handed manipulation of two very narrow, long sticks is not something Western hands are used to.
Remember the overriding goal of not letting your personal chopsticks mix with anything on the common table. If you’re just a visitor, Japanese people will be very forgiving of your awkwardness with the sticks and most restaurants will offer you Western utensils if you appear ill at ease.
When you make etiquette mistakes with the chopsticks, your hosts will understand and sometimes point out to you the proper way to handle the situation. Never be afraid to ask, “Is this the proper way to do such-and-such” when dealing with chopsticks.
But why not make your trip more “authentic” by learning to use chopsticks before you travel to Japan? It takes just a bit of time, will impress the Japanese people you dine with and is a fun way of getting into the mood for a trip to Asia.
Some Exceptions and Special Situations
One: Note that special, highly formal occasions like weddings, funerals and religious functions might have their own chopsticks’ etiquette. Never be afraid to ask a Japanese person when you find yourself in such situations. They’re glad to help and will be flattered that you care enough to learn about their social customs.
Two: If you travel elsewhere in Asia, keep in mind that etiquette for chopsticks is far from uniform. What is rude in Japan might be perfectly okay in Korea and China. And what is typical in Tokyo could be a significant social error in Vietnam. Be sure to look up specific chopstick etiquette for any countries you plan to visit outside Japan.